Wanted
Copy the block further down character by character.

File
********
For Na4Hf2Si3O12, a GGA-PBE-relaxed structure gives the theoretical X-ray diffraction stick pattern in this record (Cu Kα (λ = 1.5418 Å)).
No peak broadening, texture or thermal motion is included.

The 10 most intense peaks (2θ = 10–80°), low angle first:
| (hkl) | d (Å) | I_rel |
| --- | --- | --- |
| 0 1 2 | 6.552 | 25 |
| 1 0 4 | 4.666 | 91 |
| 1 1 0 | 4.601 | 100 |
| 0 2 4 | 3.276 | 43 |
| 1 1 6 | 2.947 | 95 |
| 2 1 4 | 2.669 | 28 |
| 3 0 0 | 2.656 | 53 |
| 2 2 6 | 1.973 | 33 |
| 2 1 10 | 1.829 | 25 |
| 1 4 6 | 1.584 | 26 |

Structural model:
```
data_Na4Hf2Si3O12
_symmetry_space_group_name_H-M 'R -3 c'
_symmetry_Int_Tables_number 167
_symmetry_space_group_name_Hall '-R 3 2"c'
_cell_length_a 9.2021
_cell_length_b 9.2021
_cell_length_c 23.0213
_cell_angle_alpha 90.00
_cell_angle_beta 90.00
_cell_angle_gamma 120.00
loop_
_atom_site_label
_atom_site_type_symbol
_atom_site_fract_x
_atom_site_fract_y
_atom_site_fract_z
Na1 Na 0.0000 0.0000 0.0000
Na2 Na 0.0000 0.3657 0.2500
Hf1 Hf 0.0000 0.0000 0.1487
Si1 Si 0.0000 0.2920 0.7500
O1 O 0.0233 0.1887 0.4098
O2 O 0.0347 0.2061 0.6933
```

----------

Calculated powder XRD pattern of MgBe for copper Kα, from a GGA-PBE-relaxed structure.
Intensities are scaled so that the largest is 100.

The 10 most intense peaks (2θ from 10° to 80°), sorted by position:
Position (°2θ)  I (rel.)
24.51  16
26.09  16
28.38  17
36.10  100
37.84  12
44.55  18
48.87  16
50.25  19
69.38  13
76.53  13

Crystal structure
```
12
Lattice="7.2630 0.0000 0.0000 -3.6315 6.2899 0.0000 0.0000 0.0000 4.0676" Properties=species:S:1:pos:R:3 pbc="T T T"
Mg 0.0000 2.2804 1.0169
Mg -1.6566 5.1497 1.0169
Mg 1.9749 1.1402 3.0507
Mg 1.6566 5.1497 1.0169
Mg 5.2881 1.1402 3.0507
Mg 3.6315 4.0095 3.0507
Be -1.1336 3.5388 3.0507
Be 1.1336 3.5388 3.0507
Be 0.0000 5.5023 3.0507
Be 3.6315 0.7876 1.0169
Be 2.4978 2.7511 1.0169
Be 4.7651 2.7511 1.0169
```

Calculated powder XRD pattern of PrNdLuHg for copper Kα, from a GGA-PBE-relaxed structure.
Intensities are scaled so that the largest is 100.

The 9 most intense peaks (2θ from 10° to 80°), sorted by position:
Position (°2θ)  I (rel.)
22.78  2
32.44  100
40.01  1
46.53  18
52.42  1
57.87  39
67.92  12
72.67  1
77.30  17

Crystal structure
```
4
Lattice="0.0000 3.9032 3.9032 3.9032 0.0000 3.9032 3.9032 3.9032 0.0000" Properties=species:S:1:pos:R:3 pbc="T T T"
Pr 0.0000 0.0000 0.0000
Nd 3.9032 3.9032 3.9032
Lu 5.8548 5.8548 5.8548
Hg 1.9516 1.9516 1.9516
```

Calculated powder XRD pattern of Ho4MgSc5 for copper Kα, from a GGA-PBE-relaxed structure.
Intensities are scaled so that the largest is 100.

The 10 most intense peaks (2θ from 10° to 80°), sorted by position:
Position (°2θ)  I (rel.)
12.32  18
25.62  43
31.17  100
33.16  19
37.57  33
41.84  12
50.97  19
51.31  11
58.00  16
63.84  19

Crystal structure
```
10
Lattice="-5.0786 5.0786 2.7016 5.0786 -5.0786 2.7016 5.0786 5.0786 -2.7016" Properties=species:S:1:pos:R:3 pbc="T T T"
Ho 3.2274 0.0000 0.0000
Ho 6.9297 0.0000 0.0000
Ho 0.0000 3.2274 0.0000
Ho 0.0000 6.9297 0.0000
Mg 0.0000 0.0000 1.4029
Sc 3.1929 3.1929 0.0103
Sc 1.8856 -1.8856 2.7119
Sc -1.8856 1.8856 2.7119
Sc 1.8856 1.8856 2.7119
Sc 0.0000 0.0000 4.1811
```

Calculated powder XRD pattern of Pr3Er12Tl for copper Kα, from a GGA-PBE-relaxed structure.
Intensities are scaled so that the largest is 100.

The 10 most intense peaks (2θ from 10° to 80°), sorted by position:
Position (°2θ)  I (rel.)
31.08  100
35.73  17
36.20  34
51.78  23
52.13  12
61.32  13
61.94  28
64.81  12
75.70  2
76.83  4

Crystal structure
```
16
Lattice="4.9629 0.0000 0.0000 0.0000 4.9629 0.0000 0.0000 0.0000 20.1022" Properties=species:S:1:pos:R:3 pbc="T T T"
Pr 0.0000 0.0000 0.0000
Pr 0.0000 0.0000 5.0596
Pr 0.0000 0.0000 15.0426
Er 0.0000 2.4814 2.5507
Er 0.0000 2.4814 7.6425
Er 0.0000 2.4814 12.4597
Er 0.0000 2.4814 17.5515
Er 2.4814 0.0000 2.5507
Er 2.4814 0.0000 7.6425
Er 2.4814 0.0000 12.4597
Er 2.4814 0.0000 17.5515
Er 2.4814 2.4814 0.0000
Er 2.4814 2.4814 5.1760
Er 2.4814 2.4814 10.0511
********

Outcome
For Na4Hf2Si3O12, a GGA-PBE-relaxed structure gives the theoretical X-ray diffraction stick pattern in this record (Cu Kα (λ = 1.5418 Å)).
No peak broadening, texture or thermal motion is included.

The 10 most intense peaks (2θ = 10–80°), low angle first:
| (hkl) | d (Å) | I_rel |
| --- | --- | --- |
| 0 1 2 | 6.552 | 25 |
| 1 0 4 | 4.666 | 91 |
| 1 1 0 | 4.601 | 100 |
| 0 2 4 | 3.276 | 43 |
| 1 1 6 | 2.947 | 95 |
| 2 1 4 | 2.669 | 28 |
| 3 0 0 | 2.656 | 53 |
| 2 2 6 | 1.973 | 33 |
| 2 1 10 | 1.829 | 25 |
| 1 4 6 | 1.584 | 26 |

Structural model:
```
data_Na4Hf2Si3O12
_symmetry_space_group_name_H-M 'R -3 c'
_symmetry_Int_Tables_number 167
_symmetry_space_group_name_Hall '-R 3 2"c'
_cell_length_a 9.2021
_cell_length_b 9.2021
_cell_length_c 23.0213
_cell_angle_alpha 90.00
_cell_angle_beta 90.00
_cell_angle_gamma 120.00
loop_
_atom_site_label
_atom_site_type_symbol
_atom_site_fract_x
_atom_site_fract_y
_atom_site_fract_z
Na1 Na 0.0000 0.0000 0.0000
Na2 Na 0.0000 0.3657 0.2500
Hf1 Hf 0.0000 0.0000 0.1487
Si1 Si 0.0000 0.2920 0.7500
O1 O 0.0233 0.1887 0.4098
O2 O 0.0347 0.2061 0.6933
```

----------

Calculated powder XRD pattern of MgBe for copper Kα, from a GGA-PBE-relaxed structure.
Intensities are scaled so that the largest is 100.

The 10 most intense peaks (2θ from 10° to 80°), sorted by position:
Position (°2θ)  I (rel.)
24.51  16
26.09  16
28.38  17
36.10  100
37.84  12
44.55  18
48.87  16
50.25  19
69.38  13
76.53  13

Crystal structure
```
12
Lattice="7.2630 0.0000 0.0000 -3.6315 6.2899 0.0000 0.0000 0.0000 4.0676" Properties=species:S:1:pos:R:3 pbc="T T T"
Mg 0.0000 2.2804 1.0169
Mg -1.6566 5.1497 1.0169
Mg 1.9749 1.1402 3.0507
Mg 1.6566 5.1497 1.0169
Mg 5.2881 1.1402 3.0507
Mg 3.6315 4.0095 3.0507
Be -1.1336 3.5388 3.0507
Be 1.1336 3.5388 3.0507
Be 0.0000 5.5023 3.0507
Be 3.6315 0.7876 1.0169
Be 2.4978 2.7511 1.0169
Be 4.7651 2.7511 1.0169
```

Calculated powder XRD pattern of PrNdLuHg for copper Kα, from a GGA-PBE-relaxed structure.
Intensities are scaled so that the largest is 100.

The 9 most intense peaks (2θ from 10° to 80°), sorted by position:
Position (°2θ)  I (rel.)
22.78  2
32.44  100
40.01  1
46.53  18
52.42  1
57.87  39
67.92  12
72.67  1
77.30  17

Crystal structure
```
4
Lattice="0.0000 3.9032 3.9032 3.9032 0.0000 3.9032 3.9032 3.9032 0.0000" Properties=species:S:1:pos:R:3 pbc="T T T"
Pr 0.0000 0.0000 0.0000
Nd 3.9032 3.9032 3.9032
Lu 5.8548 5.8548 5.8548
Hg 1.9516 1.9516 1.9516
```

Calculated powder XRD pattern of Ho4MgSc5 for copper Kα, from a GGA-PBE-relaxed structure.
Intensities are scaled so that the largest is 100.

The 10 most intense peaks (2θ from 10° to 80°), sorted by position:
Position (°2θ)  I (rel.)
12.32  18
25.62  43
31.17  100
33.16  19
37.57  33
41.84  12
50.97  19
51.31  11
58.00  16
63.84  19

Crystal structure
```
10
Lattice="-5.0786 5.0786 2.7016 5.0786 -5.0786 2.7016 5.0786 5.0786 -2.7016" Properties=species:S:1:pos:R:3 pbc="T T T"
Ho 3.2274 0.0000 0.0000
Ho 6.9297 0.0000 0.0000
Ho 0.0000 3.2274 0.0000
Ho 0.0000 6.9297 0.0000
Mg 0.0000 0.0000 1.4029
Sc 3.1929 3.1929 0.0103
Sc 1.8856 -1.8856 2.7119
Sc -1.8856 1.8856 2.7119
Sc 1.8856 1.8856 2.7119
Sc 0.0000 0.0000 4.1811
```

Calculated powder XRD pattern of Pr3Er12Tl for copper Kα, from a GGA-PBE-relaxed structure.
Intensities are scaled so that the largest is 100.

The 10 most intense peaks (2θ from 10° to 80°), sorted by position:
Position (°2θ)  I (rel.)
31.08  100
35.73  17
36.20  34
51.78  23
52.13  12
61.32  13
61.94  28
64.81  12
75.70  2
76.83  4

Crystal structure
```
16
Lattice="4.9629 0.0000 0.0000 0.0000 4.9629 0.0000 0.0000 0.0000 20.1022" Properties=species:S:1:pos:R:3 pbc="T T T"
Pr 0.0000 0.0000 0.0000
Pr 0.0000 0.0000 5.0596
Pr 0.0000 0.0000 15.0426
Er 0.0000 2.4814 2.5507
Er 0.0000 2.4814 7.6425
Er 0.0000 2.4814 12.4597
Er 0.0000 2.4814 17.5515
Er 2.4814 0.0000 2.5507
Er 2.4814 0.0000 7.6425
Er 2.4814 0.0000 12.4597
Er 2.4814 0.0000 17.5515
Er 2.4814 2.4814 0.0000
Er 2.4814 2.4814 5.1760
Er 2.4814 2.4814 10.0511